Entries >
+++
Entry 1:
The following is a DFT calculation (GGA-PBE) of an optimized crystal structure of La10Ga5Cl4.

Cell and atoms, written as POSCAR:
```
La10Ga5Cl4
1.0
-4.044 4.044 16.114
4.044 -4.044 16.114
4.044 4.044 -16.114
La Ga Cl
20 10 8
direct
0.035 0.535 0.166
0.106 0.606 0.849
0.130 0.965 0.500
0.151 0.151 0.000
0.243 0.743 0.849
0.257 0.106 0.500
0.349 0.349 0.000
0.370 0.870 0.834
0.394 0.243 0.500
0.465 0.630 0.500
0.535 0.370 0.500
0.606 0.757 0.500
0.630 0.130 0.166
0.651 0.651 0.000
0.743 0.894 0.500
0.757 0.257 0.151
0.849 0.849 0.000
0.870 0.035 0.500
0.894 0.394 0.151
0.965 0.465 0.834
0.012 0.753 0.500
0.247 0.747 0.259
0.250 0.250 0.000
0.253 0.512 0.500
0.488 0.988 0.741
0.512 0.012 0.259
0.747 0.488 0.500
0.750 0.750 0.000
0.753 0.253 0.741
0.988 0.247 0.500
0.055 0.055 0.000
0.140 0.360 0.500
0.360 0.860 0.221
0.445 0.445 0.000
0.555 0.555 0.000
0.640 0.140 0.779
0.860 0.640 0.500
0.945 0.945 0.000
```

Results
Its spin magnetization is 0.38 μB/cell.

***

Entry 2:
The following is a DFT calculation (GGA-PBE) of an optimized crystal structure of La3Ga4Cl.

Cell and atoms, written as POSCAR:
```
La3Ga4Cl
1.0
-4.132 4.132 5.730
4.132 -4.132 5.730
4.132 4.132 -5.730
La Ga Cl
6 8 2
direct
0.161 0.661 0.822
0.250 0.250 0.000
0.339 0.161 0.500
0.661 0.839 0.500
0.750 0.750 0.000
0.839 0.339 0.178
0.056 0.842 0.500
0.158 0.658 0.214
0.342 0.556 0.500
0.444 0.944 0.786
0.556 0.056 0.214
0.658 0.444 0.500
0.842 0.342 0.786
0.944 0.158 0.500
0.000 0.000 0.000
0.500 0.500 0.000
```

***

| no. | energy relative to the elements (eV per atom) |
| --- | --- |
| 1 | -1.173 |
| 2 | -1.074 |

* * * * *

No. 1
This record from the Materials Project database describes Cd4GeSe3S3 after structural relaxation. The functional is PBE. Values from VASP.

The structure in Quantum ESPRESSO input format:
```
&SYSTEM
  ibrav = 0, nat = 22, ntyp = 4
/
ATOMIC_SPECIES
Cd 112.41 Cd.upf
Ge 72.64 Ge.upf
Se 78.96 Se.upf
S 32.06 S.upf
ATOMIC_POSITIONS angstrom
Cd -6.9706 -4.3788 -3.6087
Cd -13.1644 -6.6859 -2.6801
Cd -7.9334 -3.1405 -9.1949
Cd -14.1230 -5.4540 -8.2684
Cd -6.4635 -0.1623 -6.6825
Cd -10.2269 -6.1874 -6.9937
Cd -10.1189 -1.2354 -4.4681
Cd -12.1363 -9.9316 -5.6700
Ge -5.0885 -3.5620 -6.8099
Ge -12.5408 -3.9439 -5.2393
Se -5.0965 0.6583 -4.4824
Se -8.2986 -6.2257 -5.0800
Se -11.6508 -8.8232 -3.2242
Se -8.2682 -2.2156 -2.7188
Se -4.5039 -3.7891 -4.5271
Se -11.8271 -4.3685 -3.0224
S -3.7629 -2.0258 -7.7360
S -10.9085 -2.8768 -6.3218
S -7.1524 -2.6587 -6.7662
S -12.6783 -5.9876 -6.1784
S -3.9508 -2.2987 -1.3226
S -9.4066 -5.7348 -0.7705
CELL_PARAMETERS angstrom
-5.0770 2.8516 -4.7074
-1.1675 -3.1291 -6.7017
-10.6445 -7.2809 0.9680
```

Summary:
Its space group is Cc, No. 9. The crystal system is monoclinic. The total magnetization is 0.0000 μB per atom. As for the formation energy: -667 meV per atom.

No. 2
This record from the Materials Project database describes Sm6CdGe2S14 after structural relaxation. The functional is PBE. Values from VASP.

The structure in Quantum ESPRESSO input format:
```
&SYSTEM
  ibrav = 0, nat = 23, ntyp = 4
/
ATOMIC_SPECIES
Sm 150.36 Sm.upf
Cd 112.41 Cd.upf
Ge 72.64 Ge.upf
S 32.06 S.upf
ATOMIC_POSITIONS angstrom
Sm 0.3864 -7.4781 3.9471
Sm 3.0331 -3.9116 2.1732
Sm 3.5087 -8.3389 0.4283
Sm -0.9472 -2.2600 2.4939
Sm -3.5922 -5.8184 4.2685
Sm -4.0638 -1.3957 6.0078
Cd 2.1248 -0.5697 2.0247
Ge -0.0963 -5.9312 -0.1095
Ge -1.1488 -3.6189 5.8947
S -2.0793 -7.5239 2.5026
S 1.0991 -2.5537 0.5656
S 2.1052 -8.0950 -2.0495
S 1.7789 -2.2751 4.1408
S -1.4351 -7.2694 6.1084
S -2.4324 -1.6763 8.7288
S 1.4620 -6.3490 1.3754
S -3.7127 -2.9315 3.4516
S -1.2652 -7.7368 -0.7678
S -1.6735 -4.4814 0.5767
S 0.6618 -5.0422 -2.0318
S -1.2971 -1.4600 5.2959
S -0.8905 -4.7164 3.9530
S -3.2252 -4.1531 6.5615
CELL_PARAMETERS angstrom
-6.9932 -0.0218 7.3327
2.2994 -8.6036 -4.8338
4.1265 -1.1064 3.9322
```

Summary:
+++

What to do >
Next, count the lines further above that contain the word "Cc" and give the number alone.

Completed >
1